Listing =
-- begin --
LiVCrO4 GGA+U optimized geometry; DFT formation energy = -55.29 kcal/mol of atoms; crystal system = triclinic
1.0
5.267 0.000 0.000
-0.184 5.914 0.000
-2.506 -1.276 7.266
O V Li Cr
12 3 3 3
direct
0.543 0.467 0.843
0.100 0.719 0.816
0.231 0.628 0.513
0.772 0.373 0.491
0.441 0.052 0.157
0.464 0.519 0.162
0.561 0.959 0.838
0.202 0.134 0.508
0.893 0.278 0.179
0.793 0.867 0.492
0.864 0.814 0.169
0.136 0.184 0.834
0.192 0.920 0.661
0.809 0.077 0.340
0.517 0.258 0.991
0.671 0.663 0.668
0.331 0.340 0.329
0.001 0.997 0.002
0.846 0.582 0.328
0.485 0.753 0.006
0.149 0.417 0.672

=====

[1]
# TmCuPb

A geometry-optimized TmCuPb structure (r2SCAN, Materials Project).

Computed properties:
Energy relative to the elements: -470 meV per atom
Calculated volume: 21.60 Å³ per atom

a = 4.5347 Å, b = 4.5347 Å, c = 7.2768 Å
α = 90.00°, β = 90.00°, γ = 120.00°
Space group P6_3mc (No. 186)
One atom of each set of equivalent atoms:
Tm: 0.0000 0.0000 0.0000
Cu: 0.3333 0.6667 0.3346
Pb: 0.3333 0.6667 0.7301

=====

[2]
# Zr5CuPb3

A geometry-optimized Zr5CuPb3 structure (r2SCAN, Materials Project).

Computed properties:
Energy relative to the elements: -392 meV per atom
Calculated volume: 21.87 Å³ per atom

a = 8.7441 Å, b = 8.7441 Å, c = 5.9442 Å
α = 90.00°, β = 90.00°, γ = 120.00°
Space group P6_3/mcm (No. 193)
One atom of each set of equivalent atoms:
Zr: 0.0000 0.2561 0.2500
Zr: 0.3333 0.6667 0.0000
Cu: 0.0000 0.0000 0.0000
Pb: 0.0000 0.3876 0.7500

=====

[3]
# Cu3Pd2

A geometry-optimized Cu3Pd2 structure (r2SCAN, Materials Project).

Computed properties:
Energy relative to the elements: -106 meV per atom
Calculated volume: 12.90 Å³ per atom

a = 2.973 Å, b = 2.973 Å, c = 14.596 Å
α = 90.00°, β = 90.00°, γ = 90.00°
Space group P4/mmm (No. 123)
One atom of each set of equivalent atoms:
Cu: 0.000 0.000 0.000
Cu: 0.000 0.000 0.205
Cu: 0.000 0.000 0.411
Cu: 0.500 0.500 0.500
Pd: 0.500 0.500 0.103
Pd: 0.500 0.500 0.309

=====

[4]
# Pm2CuPd

A geometry-optimized Pm2CuPd structure (r2SCAN, Materials Project).

Computed properties:
Energy relative to the elements: -479 meV per atom
Calculated volume: 22.68 Å³ per atom

a = 7.132 Å, b = 7.132 Å, c = 7.132 Å
α = 90.00°, β = 90.00°, γ = 90.00°
Space group Fm-3m (No. 225)
One atom of each set of equivalent atoms:
Pm: 0.250 0.250 0.250
Cu: 0.000 0.000 0.000
Pd: 0.000 0.000 0.500

=====

[5]
# PrCu4Pd

A geometry-optimized PrCu4Pd structure (r2SCAN, Materials Project).

Computed properties:
Energy relative to the elements: -277 meV per atom
Calculated volume: 15.88 Å³ per atom

a = 5.1249 Å, b = 5.1249 Å, c = 4.1876 Å
α = 90.00°, β = 90.00°, γ = 120.00°
Space group P-6m2 (No. 187)
One atom of each set of equivalent atoms:
Pr: 0.0000 0.0000 0.0000
Cu: 0.5035 0.0071 0.5000
Cu: 0.6667 0.3333 0.0000
Pd: 0.3333 0.6667 0.0000

=====

[6]
# ScCuPd2

A geometry-optimized ScCuPd2 structure (r2SCAN, Materials Project).

Computed properties:
Energy relative to the elements: -630 meV per atom
Calculated volume: 15.31 Å³ per atom

a = 6.257 Å, b = 6.257 Å, c = 6.257 Å
α = 90.00°, β = 90.00°, γ = 90.00°
Space group Fm-3m (No. 225)
One atom of each set of equivalent atoms:
Sc: 0.000 0.000 0.000
Cu: 0.000 0.000 0.500
Pd: 0.250 0.250 0.250

=====

[7]
# Sc2CuPd

A geometry-optimized Sc2CuPd structure (r2SCAN, Materials Project).

Computed properties:
Energy relative to the elements: -584 meV per atom
Calculated volume: 17.51 Å³ per atom

a = 6.543 Å, b = 6.543 Å, c = 6.543 Å
α = 90.00°, β = 90.00°, γ = 90.00°
Space group Fm-3m (No. 225)
One atom of each set of equivalent atoms:
Sc: 0.250 0.250 0.250
Cu: 0.000 0.000 0.000
Pd: 0.000 0.000 0.500

=====

[8]
# Tm2CuPd

A geometry-optimized Tm2CuPd structure (r2SCAN, Materials Project).

Computed properties:
Energy relative to the elements: -631 meV per atom
Calculated volume: 19.89 Å³ per atom

a = 6.827 Å, b = 6.827 Å, c = 6.827 Å
α = 90.00°, β = 90.00°, γ = 90.00°
Space group Fm-3m (No. 225)
One atom of each set of equivalent atoms:
Tm: 0.250 0.250 0.250
Cu: 0.000 0.000 0.000
-- stop --

Activity =
Please type out everything further up character by character.

Written answer =
LiVCrO4 GGA+U optimized geometry; DFT formation energy = -55.29 kcal/mol of atoms; crystal system = triclinic
1.0
5.267 0.000 0.000
-0.184 5.914 0.000
-2.506 -1.276 7.266
O V Li Cr
12 3 3 3
direct
0.543 0.467 0.843
0.100 0.719 0.816
0.231 0.628 0.513
0.772 0.373 0.491
0.441 0.052 0.157
0.464 0.519 0.162
0.561 0.959 0.838
0.202 0.134 0.508
0.893 0.278 0.179
0.793 0.867 0.492
0.864 0.814 0.169
0.136 0.184 0.834
0.192 0.920 0.661
0.809 0.077 0.340
0.517 0.258 0.991
0.671 0.663 0.668
0.331 0.340 0.329
0.001 0.997 0.002
0.846 0.582 0.328
0.485 0.753 0.006
0.149 0.417 0.672

=====

[1]
# TmCuPb

A geometry-optimized TmCuPb structure (r2SCAN, Materials Project).

Computed properties:
Energy relative to the elements: -470 meV per atom
Calculated volume: 21.60 Å³ per atom

a = 4.5347 Å, b = 4.5347 Å, c = 7.2768 Å
α = 90.00°, β = 90.00°, γ = 120.00°
Space group P6_3mc (No. 186)
One atom of each set of equivalent atoms:
Tm: 0.0000 0.0000 0.0000
Cu: 0.3333 0.6667 0.3346
Pb: 0.3333 0.6667 0.7301

=====

[2]
# Zr5CuPb3

A geometry-optimized Zr5CuPb3 structure (r2SCAN, Materials Project).

Computed properties:
Energy relative to the elements: -392 meV per atom
Calculated volume: 21.87 Å³ per atom

a = 8.7441 Å, b = 8.7441 Å, c = 5.9442 Å
α = 90.00°, β = 90.00°, γ = 120.00°
Space group P6_3/mcm (No. 193)
One atom of each set of equivalent atoms:
Zr: 0.0000 0.2561 0.2500
Zr: 0.3333 0.6667 0.0000
Cu: 0.0000 0.0000 0.0000
Pb: 0.0000 0.3876 0.7500

=====

[3]
# Cu3Pd2

A geometry-optimized Cu3Pd2 structure (r2SCAN, Materials Project).

Computed properties:
Energy relative to the elements: -106 meV per atom
Calculated volume: 12.90 Å³ per atom

a = 2.973 Å, b = 2.973 Å, c = 14.596 Å
α = 90.00°, β = 90.00°, γ = 90.00°
Space group P4/mmm (No. 123)
One atom of each set of equivalent atoms:
Cu: 0.000 0.000 0.000
Cu: 0.000 0.000 0.205
Cu: 0.000 0.000 0.411
Cu: 0.500 0.500 0.500
Pd: 0.500 0.500 0.103
Pd: 0.500 0.500 0.309

=====

[4]
# Pm2CuPd

A geometry-optimized Pm2CuPd structure (r2SCAN, Materials Project).

Computed properties:
Energy relative to the elements: -479 meV per atom
Calculated volume: 22.68 Å³ per atom

a = 7.132 Å, b = 7.132 Å, c = 7.132 Å
α = 90.00°, β = 90.00°, γ = 90.00°
Space group Fm-3m (No. 225)
One atom of each set of equivalent atoms:
Pm: 0.250 0.250 0.250
Cu: 0.000 0.000 0.000
Pd: 0.000 0.000 0.500

=====

[5]
# PrCu4Pd

A geometry-optimized PrCu4Pd structure (r2SCAN, Materials Project).

Computed properties:
Energy relative to the elements: -277 meV per atom
Calculated volume: 15.88 Å³ per atom

a = 5.1249 Å, b = 5.1249 Å, c = 4.1876 Å
α = 90.00°, β = 90.00°, γ = 120.00°
Space group P-6m2 (No. 187)
One atom of each set of equivalent atoms:
Pr: 0.0000 0.0000 0.0000
Cu: 0.5035 0.0071 0.5000
Cu: 0.6667 0.3333 0.0000
Pd: 0.3333 0.6667 0.0000

=====

[6]
# ScCuPd2

A geometry-optimized ScCuPd2 structure (r2SCAN, Materials Project).

Computed properties:
Energy relative to the elements: -630 meV per atom
Calculated volume: 15.31 Å³ per atom

a = 6.257 Å, b = 6.257 Å, c = 6.257 Å
α = 90.00°, β = 90.00°, γ = 90.00°
Space group Fm-3m (No. 225)
One atom of each set of equivalent atoms:
Sc: 0.000 0.000 0.000
Cu: 0.000 0.000 0.500
Pd: 0.250 0.250 0.250

=====

[7]
# Sc2CuPd

A geometry-optimized Sc2CuPd structure (r2SCAN, Materials Project).

Computed properties:
Energy relative to the elements: -584 meV per atom
Calculated volume: 17.51 Å³ per atom

a = 6.543 Å, b = 6.543 Å, c = 6.543 Å
α = 90.00°, β = 90.00°, γ = 90.00°
Space group Fm-3m (No. 225)
One atom of each set of equivalent atoms:
Sc: 0.250 0.250 0.250
Cu: 0.000 0.000 0.000
Pd: 0.000 0.000 0.500

=====

[8]
# Tm2CuPd

A geometry-optimized Tm2CuPd structure (r2SCAN, Materials Project).

Computed properties:
Energy relative to the elements: -631 meV per atom
Calculated volume: 19.89 Å³ per atom

a = 6.827 Å, b = 6.827 Å, c = 6.827 Å
α = 90.00°, β = 90.00°, γ = 90.00°
Space group Fm-3m (No. 225)
One atom of each set of equivalent atoms:
Tm: 0.250 0.250 0.250
Cu: 0.000 0.000 0.000